
Business owner? Top tips to make your legacy a book

As a business owner, you’re probably wondering how you can impact more people while increasing awareness about yourself and your business. Writing a book is a long-lasting investment. It’s a great way to add more ‘Launch” events to your calendar and add more products to your portfolio. In this article, Megan Fleming gives 10 golden tips to help help you get started.

Megan Fleming
Business owner talks about her book at a local event

Megan Fleming is the Lead Editor at Victory Vision Publishing. Her love of literature and clean copy emerged when she began editing full-time in 2020, and she has since been able to use her experience in MLA, Chicago, AP, and APA styles. Megan and her husband Adam live in a small midwestern town and have four children. Megan enjoys making her own art, gardening, pursuing a master’s degree, and reading fiction in between the cracks.

Let’s get legacy straight

The first thing to do if you want to make your business journey into a book is to take time to think about the question of legacy. The term can be taken two ways: the legacy you are creating now, with your products and services, and the legacy you wish to leave, by preserving the story for future generations.
Let’s settle what we mean when we talk about “legacy.”

My husband Adam coaches executives at large corporations and hears his clients use the word “legacy” in a way that refers to “a holdover from the way it was.” For example, “This way of doing this thing is a legacy policy from the previous CEO.” This often carries a connotation that the hold-over policy is undesirable and will be changed as soon as the slowly turning cogs of corporate management address it, but the legacy we’re talking about here is nothing negative.

“The legacy we’re talking about here is nothing negative.”

The dictionary defines legacy as either akin to “inheritance” in terms of money or property; or “something handed down from an ancestor or a predecessor or from the past,” and akin to “heritage.” Interestingly, this definition is from The American Heritage Dictionary of the English Language, 5th Edition. Just like our language use is handed down through the generations, our corporate values, the way we conduct internal communications, the policies of affecting our customers, and yes, our financial success are all ways our company can impact the further owners and operators. But it goes further: what your company stands for and the success of maintaining happy employees and customers leaves a lasting impact on whole industries.

Writing that book

Now, let’s define a “book.” Some of you may be envisioning a sleek paperback with a smart cover design, organized like any number of business books out there. That is one option; but at the core, we are talking about getting your entrepreneurship story into a great story form. And that means the book might be a series of blog posts that get published eventually; it could be a photo record of your company’s history, staff, products, and milestones, with descriptions; or a book could be your own “Top Ten” self-help guide for those in your industry, using your company as the basis for the insights. As long as the content includes examples that show the readers now and in the future what impact your enterprise has on people, your industry, society, and the environment, your book will capture your company’s legacy. In turn, the book ought to help the legacy self-perpetuate, by increasing your book of business.

A business owner is interviewed about the book and her legacy

How we inherited a legacy

Adam and I run a self-publishing service company called Victory Vision Publishing. But we aren’t the founders: we inherited it from the founder, Julie Ballard. Before her entrepreneurship success, Julie was so deep into addiction, that she blacked out on the street and was left for dead. Miraculously, something aroused her and got her moving towards the nearest rehab center. Another string of divine appointments got her connected with an influential leader who told her she should write and publish her life story. “But I can’t write!” she protested. Despite her concerns, in a few months, she not only got her story down, but she also learned the ropes of self-publishing. Others with survival stories began coming out of the woodwork, seeking her help, and her clients grew into a fledgling business.

Fast-forward three years, and Julie is now pursuing her passion for helping recovering addicts and training leaders. She passed her company onto us so she could do more boots-on-the-ground work. We are honored and privileged to uphold her legacy of guiding those with courageous, heart-breaking personal stories of healing through the process of finding victory in getting their story to the world in a published book.

While your company’s story may not have a dramatic founder’s story like ours, it does have a story.

A business owner is writing her book and her legacy

Getting started

So, without further ado, here are the ten tips on writing your legacy:

1. Take some time to process your legacy.

This may require hiring a legacy coach who can walk you through the following set of legacy goal questions: 

L – Lifetime What do you hope to build that can live beyond your lifetime? As the famed speaker Simon Sinek says, “What IS the Infinite Game?” What is your infinite game?

E – Excellence  – What excellence is required, in both skill and character?

G – Generative What are you making that’s new in the world?

A – Audience or Avatar Who are you making it for?

C – Core Values Why do you care about this thing? 

-- begin --
# 1
This record from OMol25 describes a 10-piece molecular cluster, C54H124N4O10 overall. The level of theory is ωB97M-V/def2-TZVPD.

## Properties
- HOMO level: -0.3015 hartree
- SMILES: CC1(C)CCCC(C)(C)N1O.CC1(C)CCCC(C)(C)N1O.CC1(C)CCCC(C)(C)N1O.CC1(C)CCCC(C)(C)N1O.CC(C)O.CC(C)O.CC(C)O.CC(C)O.CC(C)O.CC(C)O
- Charge: 0
- Energy relative to the best compared isomer or geometry (same formula, charge and spin): 1.874 eV

Each line ends with the Mulliken charge.
CARTESIAN COORDINATES (ANGSTROEM)
C -5.407 6.954 3.695  -1.815
C -4.610 6.470 2.528  1.841
C -5.511 6.671 1.257  -2.056
C -3.406 7.286 2.267  -1.459
C -2.244 7.001 3.266  -1.125
C -1.947 5.497 3.172  -1.285
C -3.134 4.616 3.503  2.439
C -2.728 3.132 3.151  -2.175
C -3.545 4.694 5.025  -1.635
N -4.246 5.013 2.588  0.943
O -5.397 4.296 2.931  -0.679
H -4.800 7.207 4.522  0.391
H -6.090 7.799 3.606  0.421
H -6.044 6.119 4.001  0.327
H -6.505 6.199 1.418  0.364
H -5.696 7.686 1.091  0.586
H -5.129 6.248 0.321  0.226
H -3.124 7.164 1.205  0.414
H -3.783 8.338 2.287  0.408
H -1.404 7.628 3.026  0.521
H -2.443 7.240 4.304  0.359
H -1.107 5.313 3.823  0.247
H -1.578 5.251 2.200  0.209
H -1.943 2.772 3.868  0.511
H -2.252 2.998 2.157  -0.083
H -3.545 2.397 3.224  0.656
H -3.298 3.756 5.495  0.470
H -4.633 4.752 5.059  0.319
H -3.111 5.549 5.599  0.282
H -5.332 3.609 2.268  0.340
C -0.394 -3.360 -2.187  -2.401
C -0.634 -4.722 -2.849  2.852
C -2.119 -5.064 -2.906  -1.470
C 0.047 -4.738 -4.247  -1.189
C 0.102 -6.072 -4.947  -0.737
C 0.938 -6.996 -4.086  -1.165
C 0.317 -7.106 -2.626  1.290
C -0.998 -8.010 -2.657  -1.760
C 1.321 -7.879 -1.750  -2.030
N 0.181 -5.752 -2.057  1.010
O -0.431 -5.826 -0.726  -0.618
H -0.631 -3.417 -1.154  0.618
H 0.675 -3.064 -2.155  -0.545
H -0.947 -2.623 -2.725  0.645
H -2.253 -5.888 -2.198  0.243
H -2.673 -4.150 -2.554  0.289
H -2.387 -5.413 -3.899  0.262
H -0.403 -4.057 -4.968  0.338
H 1.084 -4.477 -4.110  0.250
H -0.870 -6.468 -5.264  0.295
H 0.597 -5.906 -5.861  0.534
H 1.964 -6.636 -4.071  0.331
H 0.925 -8.025 -4.534  0.294
H -0.743 -9.051 -2.450  0.456
H -1.658 -7.832 -3.524  0.262
H -1.514 -7.768 -1.728  0.431
H 2.303 -7.423 -1.764  0.145
H 1.414 -8.871 -2.209  0.666
H 0.890 -8.064 -0.754  0.437
H 0.247 -5.340 -0.205  0.431
C 4.578 -4.360 -1.856  -1.524
C 4.456 -3.506 -0.568  2.693
C 5.192 -2.154 -0.849  -2.708
C 3.109 -3.100 -0.142  -1.556
C 2.238 -4.198 0.445  1.205
C 2.988 -4.709 1.687  -1.595
C 4.386 -5.192 1.384  1.732
C 5.136 -5.317 2.728  -1.851
C 4.389 -6.507 0.610  -1.319
N 5.061 -4.081 0.578  0.754
O 6.389 -4.546 0.293  -0.610
H 3.694 -5.025 -1.990  -0.144
H 4.807 -3.775 -2.768  0.442
H 5.460 -4.983 -1.804  0.391
H 5.181 -1.496 -0.015  0.411
H 6.194 -2.392 -1.155  0.674
H 4.691 -1.685 -1.642  0.572
H 3.225 -2.256 0.572  -0.369
H 2.594 -2.692 -1.002  0.556
H 1.250 -3.793 0.724  1.323
H 2.074 -5.026 -0.252  -1.414
H 2.380 -5.435 2.223  0.860
H 3.057 -3.895 2.386  -0.537
H 5.104 -4.375 3.245  0.262
H 6.098 -5.743 2.546  0.444
H 4.472 -5.943 3.357  0.344
-- stop --
-- Back to the article --

Y – Yield   In the sense of the word that means “crop or harvest,” how will it feed you and fund your second planting season?

In the sense of the word, that means “to give way to someone or something,” who will take over when you’re gone?

2. Take time to find examples of the type of book you want to publish.

Check the internet; bookstores; or the library. As mentioned above, you have flexibility on what form the publication takes. What type of book will work well for the story you have to tell?

3. Based on the answer to Tip #2, decide on your audience.

Who needs to hear this story? Is it primarily for family and friends, or a broader network? Is it for future leaders in your industry?

4. Decide if you can write the first draft yourself or if you need a ghostwriter.

Maybe you, like Julie, are saying, “But I don’t write!” Maybe you want to do what she did and dive in any way (fake it ‘til you make it). You could ask a couple of stakeholders to contribute and work as a team. Or, you can always hire someone to write it for you.

5. Interview key players.

You may realize the best stories are from the generation before you—maybe a grandmother or great-uncle—or even from your kids. Take time to find those inspiring examples that will make your company history engaging.

6. Schedule a regular time to write.

Decide if you will set aside a 20-minute block; an hour a week; or a whole weekend retreat to knock out the first draft. Then put it on your calendar, and stick to it. Commit, and be consistent.

7. Tell the people in your life.

As with any goal, setting out to write a book takes the support of those around you. Make them aware of your project, and don’t be afraid to ask them to support you in specific ways. For instance, you may need to request to move certain scheduled events that impact friends or family members to get time to write.

8. Join a writer’s group.

One sure way to keep you from getting stuck is to join a group where a coach can help you set and stay on track with goals, while having fellow writers share and celebrate successes (and commiserate on your woes).

9. Get beta readers.

Have trusted people read your drafts and ask for feedback. Choose those who will be candid with you about what can be improved, as well as what is working.

10. Research which publishing method suits you and your project.

Do you want to query a traditional publisher? Or self-publish? A good place to start to answer this is to read our blog, Traditional, Hybrid, and Self-Publishing: Which Model is Best for You?

*The purpose of this page is solely to provide information and should not be considered as financial advice.
**Melio does not provide legal, tax or accounting advice; you should consult a professional advisor before making any financial decisions.